Back Pain Exercise Right

[Misplaced calculated molecules]
┌──
Entry 1:
Density functional theory data (wB97M-V/def2-TZVPD) for an isolated molecule of C3H6N4 at a distorted geometry.

Results
total energy	-9165.388	eV
E_HOMO	-0.27751	hartree
LUMO energy	0.5	eV
SMILES string	CNc1ncn[nH]1
F_max	6.7	eV/Å
total charge	0
HOMO-LUMO gap	8.1	eV
energy above the lowest of the compared OMol25 structures with the same formula, charge and spin	334.57	kJ/mol

Last column: Mulliken charge in e.
Positions of all 13 atoms, in Å:
C -0.35939 1.92135 -0.94420  -0.76
N -0.92028 0.71492 -0.31180  -0.21
C -0.21254 -0.31425 0.10860  0.37
N 1.55943 -0.59494 0.03465  -0.46
C 1.54895 -1.61179 0.78920  0.04
N 0.43009 -2.25070 1.09594  -0.82
N -0.56100 -1.41126 0.77585  0.24
H -0.55607 2.80067 -0.26212  0.29
H 0.74399 2.00964 -0.97018  0.29
H -0.74127 1.95906 -2.04670  0.26
H -1.89438 0.75220 -0.10849  0.22
H 2.50545 -2.28587 0.88340  0.29
H -1.54296 -1.68904 0.95585  0.26

---

Entry 2:
Density functional theory data (wB97M-V/def2-TZVPD) for a structure of composition C3H7N3OS at a distorted geometry.

Results
total energy	-20572.563	eV
E_HOMO	-0.33815	hartree
LUMO energy	0.1	eV
F_max	5.4	eV/Å
total charge	0
HOMO-LUMO gap	9.3	eV
energy above the lowest of the compared OMol25 structures with the same formula, charge and spin	542.32	kJ/mol

Last column: Mulliken charge in e.
Positions of all 15 atoms, in Å:
C 2.93095 -0.06470 0.12654  -0.76
C -0.76933 -1.29704 0.25891  0.08
C -1.79832 -0.20024 -0.10505  0.48
H 3.05596 -1.00907 -0.32981  0.29
H 2.71890 0.06723 1.22562  0.26
H 3.72380 0.53865 -0.28649  0.37
H -1.38662 -1.98979 0.85592  0.35
H -3.56981 0.20692 -0.50324  0.25
H -2.10368 1.86941 -0.48239  0.35
H 0.36050 1.34858 0.16291  0.33
N 0.48647 -1.33320 0.11124  -0.47
N -2.94535 -0.75772 -0.45982  -0.62
N -1.38971 1.09337 -0.48919  -0.36
O -0.57634 1.44180 0.68740  -0.46
S 1.26257 0.08578 -0.77255  -0.09

---

Entry 3:
Density functional theory data (wB97M-V/def2-TZVPD) for a cluster of 2 separate species, C11H11NO2 in total at a distorted geometry.

Results
total energy	-17163.529	eV
E_HOMO (alpha / beta)	-0.26185 / -0.26294	hartree
LUMO energy (alpha / beta)	-0.2 / -0.2	eV
F_max	5.5	eV/Å
total charge	0
HOMO-LUMO gap (alpha / beta)	6.9 / 7.0	eV
energy above the lowest of the compared OMol25 structures with the same formula, charge and spin	794.51	kJ/mol

Last column: Mulliken charge in e.
Positions of all 25 atoms, in Å:
C 3.65961 1.86114 -0.22462  0.18
C 2.83952 1.04030 0.13421  -0.58
C 0.15682 1.22543 -0.51133  -0.49
C -0.38727 -0.58592 0.98269  -0.43
C -1.19290 1.25715 -0.90799  -0.68
C -1.76494 -0.46191 0.70863  -0.62
C 0.59816 0.24851 0.41237  0.21
C -2.12882 0.44941 -0.23848  0.77
C 2.74434 -1.18619 1.15144  -1.06
C -4.53329 -0.20022 -0.43499  -0.75
C 2.01353 -0.01088 0.55132  0.26
N 2.40464 -0.63911 -1.54863  0.16
O 3.31820 -1.35986 -1.53848  -0.23
O -3.41546 0.69224 -0.66564  -0.42
H 4.34101 2.51903 -0.71797  0.47
H 0.84813 2.04077 -0.73866  0.29
H -0.11149 -1.31259 1.64183  0.45
H -1.71334 1.84384 -1.62975  0.44
└──

My Back Just Goes – Understanding Back Pain

It has become a common trend over recent times for people to refer to their back as “just going” or “it just went”, but what does this actually mean?

As previously discussed, the majority (80%) of incidences of back pain are non-specific in nature, meaning that exact origin and reason for the pain is unknown. Further to the unknown origin of the pain, it is often everyday activities that trigger or exacerbate our pain.

For example, picking up the children, unloading the dishwasher and in severe cases simply putting on shoes and socks leads to the feeling that “my back just goes”.

But what do we know, and why does it feel like “my back just goes”?

Back pain has been the topic of great debate and intense research scrutiny, in my first blog we began to explore some of the reasons why back pain can be recurring in nature. Today let’s dig a little deeper.  Anatomy, when we look at a back, more specially, a spine there is three layers of muscles; deep, intermediate and superficial.

┌──
{"formula": "C42H53ClF4N7OPtSeSi3", "method": "the ωB97M-V functional and the def2-TZVPD basis", "largest_force_ev_per_a": 2.22, "energy_ev": -172505.65259, "charge": 1, "relative_energy_ev": 1.186, "e_homo_ev": -9.244, "homo_lumo_gap_ev": 4.51, "symbols": ["Pt", "C", "O", "Si", "C", "C", "C", "Si", "C", "C", "C", "Si", "C", "C", "C", "H", "H", "H", "H", "H", "H", "H", "H", "H", "H", "H", "H", "H", "H", "H", "H", "H", "H", "H", "H", "H", "H", "H", "H", "H", "H", "H", "F", "C", "C", "F", "C", "C", "C", "F", "C", "C", "C", "N", "C", "N", "F", "C", "C", "N", "C", "N", "Cl", "C", "C", "C", "C", "N", "C", "H", "H", "H", "H", "C", "C", "C", "C", "N", "C", "Se", "N", "C", "C", "C", "C", "C", "C", "C", "C", "C", "C", "H", "H", "H", "H", "H", "H", "H", "H", "H", "H", "H", "H", "H", "H", "H", "H", "H", "H", "H", "H", "H", "H"], "xyz": [[0.165, 0.175, -0.329], [3.151, -0.780, 0.259], [2.216, 0.231, -0.148], [2.423, 1.948, -0.122], [3.440, 2.370, 1.382], [3.485, 2.316, -1.607], [0.591, 2.293, -0.166], [-0.070, 3.061, 1.415], [0.583, 4.789, 1.728], [-1.942, 3.210, 1.540], [0.443, 2.056, 2.972], [0.083, 3.276, -1.703], [-1.678, 3.940, -1.625], [0.220, 2.225, -3.278], [1.145, 4.802, -1.971], [3.726, -0.421, 1.111], [3.816, -1.007, -0.575], [2.602, -1.672, 0.545], [4.456, 1.986, 1.259], [3.053, 1.981, 2.321], [3.532, 3.455, 1.474], [4.385, 1.699, -1.536], [3.818, 3.354, -1.622], [2.999, 2.095, -2.556], [0.243, 5.487, 0.960], [1.672, 4.842, 1.775], [0.195, 5.155, 2.682], [-2.308, 4.076, 0.993], [-2.196, 3.366, 2.592], [-2.502, 2.342, 1.197], [1.325, 2.506, 3.430], [0.302, 0.226, 1.904], [-0.363, 2.136, 3.707], [-2.422, 3.264, -1.207], [-1.991, 4.205, -2.638], [-1.708, 4.859, -1.035], [0.244, 1.157, -3.065], [1.124, 2.475, -3.836], [-0.623, 2.418, -3.947], [1.260, 5.396, -1.063], [0.656, 5.439, -2.712], [2.138, 4.572, -2.351], [3.689, 1.445, 6.587], [2.389, 1.229, 6.765], [1.809, 1.686, 7.915], [2.579, 2.317, 8.791], [0.418, 1.556, 8.168], [-0.321, 0.917, 7.137], [0.270, 0.466, 5.992], [-0.506, -0.160, 5.099], [1.647, 0.606, 5.743], [2.268, 0.114, 4.534], [1.617, -0.082, 3.341], [0.733, 0.633, 2.737], [3.632, -0.323, 4.564], [4.718, -0.696, 4.529], [-1.625, 0.718, 7.278], [-0.186, 2.032, 9.348], [-1.594, 2.050, 9.536], [-2.732, 2.113, 9.693], [0.555, 2.547, 10.444], [1.096, 2.966, 11.370], [-4.914, -0.659, 1.778], [-3.992, -0.152, 0.421], [-4.605, 0.242, -0.758], [-3.799, 0.629, -1.814], [-2.425, 0.626, -1.660], [-1.845, 0.263, -0.509], [-2.612, -0.135, 0.514], [-5.683, 0.241, -0.838], [-4.227, 0.944, -2.756], [-1.764, 0.928, -2.457], [-2.112, -0.445, 1.421], [-2.613, -5.289, -0.137], [-2.458, -5.323, -1.653], [-3.343, -4.309, -2.374], [-2.926, -2.860, -2.149], [-1.699, -2.519, -2.871], [-0.477, -2.306, -2.353], [-0.052, -2.327, -0.519], [0.382, -2.056, -3.360], [1.825, -1.820, -3.262], [2.677, -2.959, -3.809], [2.754, -4.215, -2.944], [1.496, -5.076, -2.950], [-0.317, -2.063, -4.561], [0.089, -1.807, -5.865], [-0.887, -1.866, -6.842], [-2.220, -2.168, -6.531], [-2.621, -2.420, -5.233], [-1.638, -2.364, -4.253], [-2.077, -6.116, 0.326], [-3.664, -5.377, 0.146], [-2.223, -4.366, 0.296], [-2.709, -6.319, -2.022], [-1.412, -5.160, -1.931], [-4.376, -4.413, -2.031], [-3.352, -4.516, -3.447], [-2.739, -2.657, -1.095], [-3.696, -2.171, -2.498], [2.046, -1.637, -2.211], [2.030, -0.900, -3.809], [3.683, -2.547, -3.929], [2.341, -3.225, -4.816], [3.009, -3.935, -1.918], [3.590, -4.815, -3.309], [0.684, -4.617, -2.385], [1.690, -6.046, -2.493], [1.145, -5.255, -3.969], [1.115, -1.568, -6.107], [-0.618, -1.675, -7.871], [-2.950, -2.204, -7.327], [-3.651, -2.653, -4.999]], "mulliken_charge": [1.49, -1.11, -0.02, 0.71, -1.35, -1.49, -0.78, -0.39, -1.20, -0.99, -1.12, 0.79, -1.36, -0.71, -1.29, 0.37, 0.24, 0.22, 0.46, 0.19, 0.47, 0.45, 0.39, 0.34, 0.33, 0.29, 0.42, 0.36, 0.53, 0.15, 0.66, -0.63, 0.53, 0.31, 0.47, 0.34, -0.46, 0.51, 0.53, 0.31, 0.41, 0.35, -0.32, 0.25, 0.17, -0.29, 0.29, 0.45, 0.06, -0.42, 0.63, 0.80, -0.91, 1.41, -0.26, -0.50, -0.30, 0.71, 0.03, -0.52, -0.03, -0.51, -0.19, -0.06, -0.58, -1.00, 0.04, 1.47, -0.89, 0.54, 0.55, 0.17, 0.48, -1.17, 0.21, -0.93, -0.96, 1.75, -1.63, -0.67, 2.54, -0.60, -0.84, -0.56, -0.74, 0.27, -1.29, -0.89, -0.85, -1.15, 0.86, 0.38, 0.35, 0.16, 0.47, -0.23, 0.51, 0.39, 0.05, 0.43, -0.43, 0.48, 0.49, 0.39, 0.21, 0.39, -0.16, 0.50, 0.31, 0.51, 0.46, 0.46, 0.50]}
└──
## Back to the page

The deepest layer of muscle attaches directly on the vertebrae and provides stability, not movement to the spine. The intermediate and superficial layers are responsible for moving our spine.

Research has clearly documented numerous changes to muscles of the spine, including  changes in fibre type, fatigability of the muscles, control of the muscle, and a reduction in the size and strength of the muscles.

So how does all this result in “my back just going”?

The changes that occur to the little muscles of the spine lead to us compensating with other muscles, muscles that make us move not stabilise the spine. So when we ask too much of these muscles,  often while doing everyday activities, the back flairs up becoming inflamed, angry and sore.

Research is yet to clearly demonstrate whether the changes in function of the spinal muscles directly results in back pain or is a consequence of back pain.

Despite this uncertainty, it has been comprehensively show in RCTs (randomised control trials) and international guidelines, such as NICE  (National Institute for Health and Excellence UK) from 11 countries, including Australia have demonstrated  that exercises targeting back strength reverse many of the muscular changes, and importantly, significantly or completely eliminate back pain.

• Inserted here: data records:
DFT (the ωB97M-V functional and the def2-TZVPD basis) results for a cluster of 2 separate species, C4H4O3S in total at a distorted geometry.

Output
HOMO-LUMO gap: 7.622 eV
Energy relative to the best compared isomer or geometry (same formula, charge and spin): 5.6099 eV
E_HOMO: -9.593 eV

CARTESIAN COORDINATES (ANGSTROEM)
C 2.26294 -0.82234 -0.25212
C -0.02688 0.17325 0.30381
C -1.10276 1.20271 -0.02417
C -2.45481 0.42756 -0.25892
H 3.22888 -0.23265 -0.65319
H 1.95145 -1.06649 1.31397
H 1.92473 -1.90069 -0.86895
H -3.29080 1.13923 -0.37209
O 0.98057 0.01676 -0.61797
O -0.02309 -0.22469 1.42410
O -0.80268 2.44655 0.05872
S -2.64755 -1.15920 -0.05317

DFT (the ωB97M-V functional and the def2-TZVPD basis) results for the ion C9H10BrN2 with charge +1 at a distorted geometry.

Output
Net charge: +1
Structure (SMILES): CC1=C(Br)CN2C=CC=CC2=[NH+]1
HOMO-LUMO gap (spin up / spin down): 7.117 / 7.236 eV
Energy relative to the best compared isomer or geometry (same formula, charge and spin): 3.7556 eV
E_HOMO (spin up / spin down): -11.243 / -11.457 eV

CARTESIAN COORDINATES (ANGSTROEM)
C 2.04804 2.48380 -0.58869
C 1.36688 1.28954 -0.15529
C 2.13180 -0.22116 -0.16294
Br 4.01738 -0.40172 -0.09472
C 1.35459 -1.47332 0.34980
N -0.08584 -1.27067 0.02863
C -0.79841 -2.41725 -0.34880
C -2.15056 -2.26790 -0.59525
C -2.77687 -1.05220 -0.14309
C -2.04576 -0.03430 0.37945
C -0.61654 -0.03271 0.13312
N 0.02475 1.09715 0.08665
H 1.61372 2.85582 -1.52903
H 3.15723 2.27097 -0.80547
H 1.83064 3.26737 0.24039
H 1.66536 -2.52029 -0.03172
H 1.50577 -1.55941 1.39417
H -0.26230 -3.29371 -0.28607
H -2.86658 -3.03266 -0.97509
H -3.80208 -1.02090 -0.22387
H -2.50308 0.89116 0.59836
H -0.48936 2.05457 0.10131

DFT (the ωB97M-V functional and the def2-TZVPD basis) results for the molecule C14H12N6O at a distorted geometry.

Output
Structure (SMILES): O=C(CCn1nnnc1-c1cnccn1)c1ccccc1
HOMO-LUMO gap: 9.355 eV
Energy relative to the best compared isomer or geometry (same formula, charge and spin): 1.5105 eV
E_HOMO: -9.677 eV

CARTESIAN COORDINATES (ANGSTROEM)
O 0.27202 -2.13389 0.64674
C 0.57491 -1.14861 1.36223
C 0.26914 0.24355 0.95112
C -0.15727 0.43426 -0.54239
N -0.36228 1.81830 -1.02244
N 0.09509 2.85429 -0.37094
N -0.27319 3.81668 -1.01335
N -0.95795 3.51865 -2.21752
C -1.06029 2.19520 -2.15546
C -1.73158 1.53816 -3.20463
C -2.94503 2.05127 -3.69939
N -3.59036 1.45523 -4.70987
C -2.99276 0.30197 -5.12065
C -1.83432 -0.18370 -4.54715
N -1.23912 0.34160 -3.56764
C 1.39095 -1.39657 2.50876
C 2.64533 -0.84717 2.78559
C 3.30584 -1.22435 3.94652
C 2.72318 -2.02335 4.87531
C 1.57821 -2.72378 4.49375
C 0.88316 -2.35512 3.40544
H 1.14617 0.78662 1.26645
H -0.53017 0.61892 1.59469
H -1.10791 -0.16202 -0.56661
H 0.63524 0.07720 -1.31151
H -3.34518 3.01695 -3.38470
H -3.49084 -0.20475 -5.93836
H -1.54951 -1.17941 -4.81271
H 3.13180 -0.25564 2.04118
H 4.27319 -0.87818 4.13358
H 3.23260 -2.21570 5.81030
H 1.11093 -3.36718 5.19350
H -0.09997 -2.76940 3.17016
• Here the page continues:


What can you do to stop back pain? 

Hopefully by now I have not lost you talking about anatomy and literature. Now let’s look at what you can do?

  • Continue to exercise gently, ensuring it  feels good.
  • Remember exercise is medicine.
  • Maintain usual activities and work.
  • Consider your posture and work habit, take regular breaks.
  • If the pain persists consult a professional. An Accredited Exercise Physiologist will spend time with you to gain an understanding of your pain and contributing factors then design an exercise program tailored to your needs and requirements.


Take home  message: You don’t need to suffer alone!

Back pain is common. In fact, one of the most common health problems in Australia, more prevalent than asthma, hypertension and arthritis. While there is still a lot to be learnt about back pain, the abundance of quality research and international guidelines assist therapists in providing high quality treatment. If the pain persists more than a week or two without improvement, seek the help of a professional.
